Today I am tired, but a good tired. I’ve been an independent photographer for almost 2 years now and it’s been a wild lifestyle. I say wild because the highs are incredibly high! But with that said when things are low you really wish you’d flop over and be trampled to death. Yes, getting trampled over by a bunch of filthy feet is pleasantly better than being in a creative runt. Thankfully if you can bear it all and find a harmony between the good and bad times, everything will turn out a-okay!
Freelancing as a creative is quite the trip. In the last few years I got the accelerated version of many life experiences, lessons, and fantastic adventures. Simultaneously I’ve also sat in a black hole of utter depression, gloom, and overwhelming feeling of what-the-heck-am-I-doing-with-my-life. I’m sure my fellow creatives can relate with this lifestyle. To those contemplating on jumping in freelance full-time here are some of the joys and FMLs (f**k my life) moments you’ll have to take into consideration.
This is why creative types generally choice to go the independent route. You get to have creative freedom over projects and you get to be selective on work you take on. This power to choice helps direct, focus, and further refine yourself as an artist.
I started freelancing part-time as a photographer when I was 18. During this time I photographed everything! Weddings, sports, product, babies, ladies with babies in them, night clubs, frat parties, senior portraits, …literally anything that would help me pay off school. Looking back I view myself as a light bulb shooting out light everywhere. Nowadays I’m constantly working to become like a surgical laser. Very precise and very intentional. Since current goal is to shoot editorials, publicity, and advertising I turn down everything that not driving me towards that direction.
FML: You Won’t Get Hired for What You Want to Do (but you’ll eventually will)
For one reason or another, whether it be lack of budget, conflicting art direction, maybe you aren’t that skilled yet etc., you probably won’t book work that aligns remotely close to the work you enjoy doing for some time. Time could get be a year, 10+ years, a day, it varies from person to person. On top of that when you’re not booking work the world will march on and life expenses will keep coming. When I entered the real world I quickly learned that simply being alive was very expensive. Food, rent, hygiene, bills, bills, go away!!! bills, insurance, etc. Things will start to add up –that’s just reality for you. You’re going to have to find a balance between work that progresses you and work that keeps you alive and going.

Joy: Pretty Much Everything is a Write Off
Food? Phone bill? Car mileage? Camera equipment? Computer? –WRITE OFF! Almost everything and anything you use towards your craft/business can be deducted from your beautiful annual April taxes.
Note: Be sure to consult with an accountant. I hear getting audited is scary.
FML: Say Ba-Bye to 30% of Your $$$
As a freelancer you usually get paid in full for your jobs. At first glance this might seem like a good deal, however, the self-employment tax is higher and you’re responsible for setting aside the funds that a W-2 would normally take out for later. To give you a number example:
If you book a $100,000.00 job, $30,000.00 goes back into Uncle Sam’s pocket! That leaves $70,000.00 to hypothetically distribute among production costs, crew, craft service, art department (which almost always goes over budget,) and maybe paying yourself out.
Joy: You Make Your Own Schedule
A five-day a week, 9-5 schedule is pretty much nonexistent. You can set up your work routine however, whenever, and wherever you like. I can start my day answering emails, then hop over to the gym for a workout, break for yummy kale salad lunch, then bounce over to a coffee shop across town to get some editing done. Or I can sleep the day away and get to work from 6:00PM to about 4:00AM. As long as I can find a good workflow and make project deadlines everything is fine and dandy!
FML: You’re Always Working
As glorious as it is to have a flexible schedule the truth is that as long as you’re self-employed you’ll never really get a real break, holiday, or weekend. Sorry! I lied. Freelancing is an unexpected 9-5 with non-paid overtime all the time.
Joy: There’s Always Something New and Exciting to Learn
Personally I love being on the frontline line of a new discovery. It doesn’t matter what subject matter it is, I’m simply a naturally curious person and enjoy absorbing new things. –Kinda like Clefairy’s metronome.
Inserted here: calculated crystals >
+++
The following is a theoretical powder X-ray diffraction pattern of MgSi2B12. It was derived from a DFT-relaxed cell (GGA-PBE, the Materials Project), using Cu Kα X-rays.
Peak positions follow from Bragg's law for the DFT cell and can differ from measured ones.

Most intense lines, 15° ≤ 2θ ≤ 90°, in order of rising 2θ:
d [Å]	Position (°2θ)	Rel. int.
3.304	26.99	62.0
3.063	29.16	64.4
2.951	30.29	95.6
2.757	32.47	29.2
2.677	33.47	100.0
2.093	43.23	86.4
1.954	46.48	38.3
1.732	52.87	40.2
1.576	58.57	36.8
1.476	63.00	31.6

Structural model:
a b c (Å): 11.0293 6.1252 8.3968
angles (deg): 90.00 90.00 90.00
Sites, in units of the cell vectors:
Mg (0.0701, 0.2500, 0.1591)
Mg (0.4299, 0.7500, 0.6591)
Mg (0.5701, 0.2500, 0.3409)
Mg (0.9299, 0.7500, 0.8409)
Si (0.0815, 0.2500, 0.8678)
Si (0.0847, 0.7500, 0.6012)
Si (0.4153, 0.2500, 0.1012)
Si (0.4185, 0.7500, 0.3678)
Si (0.5815, 0.2500, 0.6322)
Si (0.5847, 0.7500, 0.8988)
Si (0.9153, 0.2500, 0.3988)
Si (0.9185, 0.7500, 0.1322)
B (0.0973, 0.7500, 0.0570)
B (0.1007, 0.2500, 0.4456)
B (0.1478, 0.7500, 0.8454)
B (0.1535, 0.2500, 0.6488)
B (0.1694, 0.5151, 0.9669)
B (0.1694, 0.9849, 0.9669)
B (0.1730, 0.0174, 0.5302)
B (0.1730, 0.4826, 0.5302)
B (0.2083, 0.5922, 0.1664)
B (0.2083, 0.9078, 0.1664)
B (0.2130, 0.0910, 0.3335)
B (0.2130, 0.4090, 0.3335)
B (0.2870, 0.5910, 0.8335)
B (0.2870, 0.9090, 0.8335)
B (0.2917, 0.0922, 0.6664)
B (0.2917, 0.4078, 0.6664)
B (0.3270, 0.5174, 0.0302)
B (0.3270, 0.9826, 0.0302)
B (0.3306, 0.0151, 0.4669)
B (0.3306, 0.4849, 0.4669)
B (0.3465, 0.7500, 0.1488)
B (0.3522, 0.2500, 0.3454)
B (0.3993, 0.7500, 0.9456)
B (0.4027, 0.2500, 0.5570)
B (0.5973, 0.7500, 0.4430)
B (0.6007, 0.2500, 0.0544)
B (0.6478, 0.7500, 0.6546)
B (0.6535, 0.2500, 0.8512)
B (0.6694, 0.5151, 0.5331)
B (0.6694, 0.9849, 0.5331)
B (0.6730, 0.0174, 0.9698)
B (0.6730, 0.4826, 0.9698)
B (0.7083, 0.5922, 0.3336)
B (0.7083, 0.9078, 0.3336)
B (0.7130, 0.0910, 0.1665)
B (0.7130, 0.4090, 0.1665)
B (0.7870, 0.5910, 0.6665)
B (0.7870, 0.9090, 0.6665)
B (0.7917, 0.0922, 0.8336)
B (0.7917, 0.4078, 0.8336)
B (0.8270, 0.5174, 0.4698)
B (0.8270, 0.9826, 0.4698)
B (0.8306, 0.0151, 0.0331)
B (0.8306, 0.4849, 0.0331)
B (0.8465, 0.7500, 0.3512)
B (0.8522, 0.2500, 0.1546)
B (0.8993, 0.7500, 0.5544)
B (0.9027, 0.2500, 0.9430)

=====

The following is a theoretical powder X-ray diffraction pattern of Cs2H6Pt. It was derived from a DFT-relaxed cell (GGA-PBE, the Materials Project), using Cu Kα X-rays.
Peak positions follow from Bragg's law for the DFT cell and can differ from measured ones.

Most intense lines, 15° ≤ 2θ ≤ 90°, in order of rising 2θ:
d [Å]	Position (°2θ)	Rel. int.
5.236	16.93	41.0
3.207	27.82	100.0
2.735	32.75	23.5
2.267	39.75	19.7
2.081	43.49	10.5
1.851	49.22	41.1
1.745	52.42	8.6
1.603	57.48	13.2
1.434	65.04	18.3
1.212	79.00	21.2

Structural model:
a b c (Å): 6.4131 6.4131 6.4131
angles (deg): 60.00 60.00 60.00
Sites, in units of the cell vectors:
Cs (0.2500, 0.2500, 0.2500)
Cs (0.7500, 0.7500, 0.7500)
+++
With freelancing you have to wear multiple hats. You will become a jack-of-all-trades with running the business end of your craft, being the art director, doing the physical labor, promoting and marketing of your brand, webmaster, getting your own coffee, and many more things.
FML: You’re Constantly Playing Catch Up
There is an enormous library and history for all creative mediums in addition to all of the new technologies becoming increasingly available. Setting aside time to build a concrete foundation for your creative craft and time to stay afloat with every update and trend is a juggling act. Umm good luck!
Meeting New People
Joy: Yay New Friends!!!
Since you’re not stuck in at the same environment naturally as a freelancer you’re always going to run into new people. For me I’ve gotten the privilege to be inspired by the community around me, work with tremendously talented people from both sides of the camera, and some of them have even become close friends. 🙂
FML: Stars, Planets, and Schedules Will Never Align to Hangout with Said New Friends
As mentioned earlier as a self-employed creative you will be constantly consumed with all things related to running a business and honing your craft. Thus you won’t have that much time to really enjoy the company of your new friends. In fact it will actually be hard to hang out with anyone in general. If your friends are fellow creatives chances are their schedules are just as chaotically fixed with random spurts of spontaneity as yours. And with such a random schedule that is dictated by whatever project you have on hand you’ll also probably have difficultly getting a hold of your friends would have 9-5 jobs.
This is great, Melly! How did you start photographing at 18 though? Did you post ads online or something? I’d greatly greatly appreciate a reply.
I’ve never actually posted an ad for my photography services. I got post of my gigs back then from word of mouth and simply being seen with a camera. When I was in school I shot a lot of on-campus events where people would come up to me and see if I was available for contract work. Granted back then DSLRs (though numerous) weren’t as popular and cell phone cameras sucked.
As odd as this might sound, it’s always encouraging to hear about other people’s struggles in pursuing something creative.
You didn’t really mention it, but I think a big problem for anyone attempting something creative is a feeling of inadequacy and insecurity. While it’s true that you can’t do anything well unless you’re first willing to do everything poorly, it’s hard to get over those initial hurdles.
Initial hurdles? I feel that no matter where you in your career or skill level the undulating balance satisfaction and inadequacy will be ever present. Thankfully as we grow into our own skins we learn to let go of the things we have no control over and find a form of peace. Personally even though my future shows no signs of direct stability I feel fantastic knowing that I get a chance to make dreams into a reality on a daily basis. 🙂
That’s an incredibly upbeat perspective! You seem like such an eternal optimist. 🙂